Cheese and Culture: A History of Cheese and Its Place In Western Civilization by Paul S. Kindstedt
This book starts out a bit slow, covering irrelevant bits of human history, but before it gets a dozen pages in, it has managed to reach the relevant portion: the Neolithic era, where the changing composition of bones from domestic animals points to their being dairy, not meat, producers, and the milk fat on pottery shards. Approximately a thousand years before adult lactose tolerance appeared, so they were making butter and cheese even then, to make it digestible by adults.
Discussing the techniques, both acid (probably the earlier) and rennet methods of making cheese. Rennet-based is only definitely identified among the Hittites.
Before then we have the Sumerian goddess Inanna persuaded to change whom she'll marry based on the shepherd's argument that he can provide her with all these milk products, and the temples had enormous sheep flocks to provide the necessary cheese and butter offerings; the constant ration pointed at the way they made butter first and then cheese from the buttermilk and the whey.
The arrival of cheese in India in the form which it remained for centuries; a combination of prohibitions against impure food and killing beasts, and the tropical weather, probably kept it that way.
How the increase in trade changed cheese, and the need for rinded cheese for it to keep.
How climate changes in Europe produced alpine transhumance -- moving the large flock to alpine pasture (opened up by the cooling that lowered the tree line) in the summer and back in the winter, when feeding was actually more difficult, often relying on leaves -- and the effects of that on cheese-making.
== Data records from another source follow ==
=====
Diffraction record for Ce3RhBr3. The powder diffraction line list is calculated, not measured: it uses a DFT-relaxed cell (GGA-PBE, Alexandria) and Cu Kα.
Neutral-atom scattering factors, no anomalous dispersion.

Top 10 peaks for 10 to 90 degrees two-theta, by angle:
d/Å  2theta  intensity  (hkl)
7.124  12.4  16  1 0 1
2.992  29.9  100  2 1 0
2.982  30.0  57  0 0 4
2.899  30.8  11  2 1 1
2.393  37.6  13  3 1 0
2.225  40.5  14  4 0 0
2.117  42.7  34  2 1 -4
2.108  42.9  38  2 1 4
2.021  44.8  19  0 2 0
1.673  54.9  20  0 2 4

Cell and atoms:
```
14
Lattice="8.9012 0.0000 0.0000 0.0000 4.0422 0.0000 -0.0762 0.0000 11.9270" Properties=species:S:1:pos:R:3 pbc="T T T"
Ce 0.8232 1.0105 4.4040
Ce 0.8663 1.0105 10.5622
Ce 2.8961 3.0316 1.5531
Ce 5.9288 1.0105 10.3739
Ce 7.9586 3.0316 1.3648
Ce 8.0017 3.0316 7.5230
Rh 1.0015 1.0105 1.5233
Rh 7.8235 3.0316 10.4037
Br 1.4165 1.0105 7.4502
Br 3.1047 3.0316 4.5402
Br 3.4390 3.0316 10.3911
Br 5.3859 1.0105 1.5359
Br 5.7203 1.0105 7.3868
Br 7.4084 3.0316 4.4768
```

=====

Diffraction record for Ce2PmSmP4. The powder XRD pattern is calculated, not measured: it uses a GGA-PBE-relaxed structure and λ = 1.5418 Å (Cu Kα).
Neutral-atom scattering factors, no anomalous dispersion.

Top 8 peaks for 2θ from 10° to 80°, by intensity:
| two_theta | d [Å] | Rel. int. | (hkl) |
| --- | --- | --- | --- |
| 30.8 | 2.900 | 1000 | 1 1 1 |
| 26.6 | 3.349 | 793 | 2 0 0 |
| 44.2 | 2.051 | 731 | 2 0 2 |
| 52.3 | 1.749 | 390 | 3 1 1 |
| 72.9 | 1.297 | 327 | 1 3 1 |
| 54.8 | 1.675 | 256 | 0 0 4 |
| 70.8 | 1.331 | 157 | 4 0 2 |
| 64.2 | 1.450 | 119 | 2 2 2 |

Cell and atoms:
```
data_Ce2PmSmP4
_chemical_formula_sum 'Ce2 Pm1 Sm1 P4'
_cell_length_a 7.103
_cell_length_b 4.102
_cell_length_c 7.106
_cell_angle_alpha 90.00
_cell_angle_beta 109.48
_cell_angle_gamma 90.00
_symmetry_space_group_name_H-M 'P 1 2/m 1'
_symmetry_Int_Tables_number 10
_symmetry_space_group_name_Hall '-P 2y'
loop_
_atom_site_label
_atom_site_fract_x
_atom_site_fract_y
_atom_site_fract_z
Ce1 0.000 0.000 0.000
Ce2 0.000 0.500 0.500
Pm1 0.500 0.000 0.500
Sm1 0.500 0.500 0.000
P1 0.245 0.500 0.248
P2 0.246 0.000 0.749
```

Diffraction record for Ce3Pm2YP6. The powder XRD pattern is calculated, not measured: it uses a GGA-PBE-relaxed structure and λ = 1.5418 Å (Cu Kα).
Neutral-atom scattering factors, no anomalous dispersion.

Top 8 peaks for 2θ from 10° to 80°, by intensity:
| two_theta | d [Å] | Rel. int. | (hkl) |
| --- | --- | --- | --- |
| 30.9 | 2.891 | 1000 | 1 3 1 |
| 26.7 | 3.339 | 742 | 2 0 0 |
| 44.3 | 2.044 | 727 | 2 0 2 |
| 52.5 | 1.744 | 363 | 3 3 1 |
| 73.2 | 1.293 | 323 | 4 6 0 |
| 55.0 | 1.669 | 253 | 4 0 0 |
| 64.5 | 1.446 | 117 | 2 6 2 |
| 71.0 | 1.327 | 97 | 5 3 -1 |

Cell and atoms:
```
data_Ce3Pm2YP6
_chemical_formula_sum 'Ce6 Pm4 Y2 P12'
_cell_length_a 7.085
_cell_length_b 12.273
_cell_length_c 7.078
_cell_angle_alpha 90.00
_cell_angle_beta 109.50
_cell_angle_gamma 90.00
_symmetry_space_group_name_H-M 'C 1 2/m 1'
_symmetry_Int_Tables_number 12
=====
Greek cheese, used as sacrificial offerings and as ingredients in sacrificial cakes, and exported -- the priests of Athena in Athens could not eat local cheese, only imported -- the temple of Artemis in Sparta was famed for its cheese partly because that was a favorite raiding location for Spartan boys, deliberately underfed and punished if caught stealing. The time that Athens sacrificed a deliberately simple meal to Castor and Pollux, to remind Athenians of the good old ways; it included cheese.
How the conquest of Sicily made it the breadbasket of Rome and so had many Roman farmers switching to cheese -- a process not exactly hurt by the ecological damage caused by farming the hillside and denuding them of trees for their navies.
Demesne and peasant techniques of making cheese in the medieval times, and how the cooler climate let you pool milk over several days, which produced much more acid cheeses, and also let you ripen it with mold growing on it.
The balance of butter and cheese -- some counties in England lost the cheese trade entirely when they skimmed off too much of the fat for the butter and made a cheap cheese that soon lost favor even among the poorer classes. (Holland managed by making "spice cheese" and favoring the low-fat stuff.)
Cheese to America and the rise of the factory made cheese.
The current fights over designated names and the impact on cheese.
/*
No. 1
# LaPm3Pr5
Computed powder XRD pattern, copper Kα. Input: the PBE geometry in Alexandria.

Most intense lines, 2θ = 10–80°, low angle first:
2θ/deg, I_rel
23.59, 24
26.92, 18
27.32, 47
28.83, 42
30.71, 100
30.88, 77
31.08, 79
31.21, 60
32.95, 43
33.93, 40
43.93, 19
53.77, 20

Cell and atoms:
a = 10.0708 Å, b = 10.0708 Å, c = 11.5277 Å
α = 111.96°, β = 111.96°, γ = 38.41°
Element x y z (fractional)
La  0.1340  0.8660  0.7500
La  0.8660  0.1340  0.2500
Pm  0.0000  0.0000  0.0000
Pm  0.0000  0.0000  0.5000
Pm  0.1404  0.5373  0.4851
Pm  0.4627  0.8596  0.0149
Pm  0.5373  0.1404  0.9851
Pm  0.8596  0.4627  0.5149
Pr  0.0106  0.6514  0.1335
Pr  0.1346  0.5282  0.7893
Pr  0.3486  0.9894  0.3665
Pr  0.4046  0.5954  0.2500
Pr  0.4718  0.8654  0.7107
Pr  0.5282  0.1346  0.2893
Pr  0.5954  0.4046  0.7500
Pr  0.6514  0.0106  0.6335
Pr  0.8654  0.4718  0.2107
Pr  0.9894  0.3486  0.8665

***

No. 2
# ThNi6C
Computed powder XRD pattern, copper Kα. Input: the PBE geometry in Alexandria.

Most intense lines, 2θ = 10–80°, low angle first:
2θ/deg, I_rel
19.54, 18
20.85, 22
23.75, 35
33.01, 68
38.65, 44
40.08, 38
40.78, 100
42.44, 48
53.67, 39
61.06, 17
64.76, 21
73.09, 22

Cell and atoms:
a = 5.4390 Å, b = 5.4390 Å, c = 5.4390 Å
α = 56.85°, β = 56.85°, γ = 56.85°
Element x y z (fractional)
Th  0.0000  0.0000  0.0000
Ni  0.0767  0.5969  0.5969
Ni  0.4031  0.4031  0.9233
Ni  0.4031  0.9233  0.4031
Ni  0.5969  0.0767  0.5969
Ni  0.5969  0.5969  0.0767
Ni  0.9233  0.4031  0.4031
C  0.5000  0.5000  0.5000


[1]
Ga2FeTeO8: computed powder diffraction line list (λ = 1.5418 Å (Cu Kα)), based on DFT lattice parameters and positions (PBE+U).
Peak positions follow from Bragg's law for the DFT cell and can differ from measured ones.

Principal peaks in the range 10° ≤ 2θ ≤ 80°, sorted by position:
2θ (°)	I/Imax
24.39	16.6
26.68	84.1
28.14	71.0
35.74	100.0
39.17	26.5
53.22	51.4
54.90	57.6
58.19	11.6
61.87	11.4
68.76	30.6

Atomic structure:
```
data_Ga2FeTeO8
_cell_length_a 4.6060
_cell_length_b 4.6060
_cell_length_c 5.9987
_cell_angle_alpha 90.00
_cell_angle_beta 90.00
_cell_angle_gamma 92.99
_symmetry_space_group_name_H-M 'P 1'
_symmetry_Int_Tables_number 1
loop_
_symmetry_equiv_pos_as_xyz
'x,y,z'
loop_
_atom_site_label
_atom_site_type_symbol
_atom_site_fract_x
_atom_site_fract_y
_atom_site_fract_z
Ga1 Ga 0.0000 0.0000 0.2413
Ga2 Ga 0.0000 0.0000 0.7587
Fe1 Fe 0.5000 0.5000 0.0000
Te1 Te 0.5000 0.5000 0.5000
O1 O 0.1928 0.1928 0.5000
O2 O 0.2014 0.2014 0.0000
O3 O 0.3127 0.6873 0.2487
O4 O 0.3127 0.6873 0.7513
O5 O 0.6873 0.3127 0.2487
O6 O 0.6873 0.3127 0.7513
O7 O 0.7986 0.7986 0.0000
O8 O 0.8072 0.8072 0.5000
```

[2]
TmGaFeO4: computed powder diffraction line list (λ = 1.5418 Å (Cu Kα)), based on DFT lattice parameters and positions (PBE+U).
Peak positions follow from Bragg's law for the DFT cell and can differ from measured ones.

Principal peaks in the range 10° ≤ 2θ ≤ 80°, sorted by position:
2θ (°)	I/Imax
17.66	64.1
20.28	20.0
29.14	24.1
33.13	100.0
34.01	73.5
*/
Full of wonderful stuff.